nLab higher regulator





Special and general types

Special notions


Extra structure




1. Idea

In the context of arithmetic geometry a higher regulator, or just regulator for short, is a homomorphism from algebraic K-theory to a suitable ordinary cohomology theory. (It makes sense to think that it “regulates” cocycles in algebraic K-theory, which tend to be hard to analyze, to become cocycles in ordinary cohomology, about which typically more may be said.) This generalizes the original concept of a regulator of a number field which is a measure for the group of units of the ring of integers of the number field, in view of the fact that the determinant function provides a canonical homomorphism K 1GL 1K_1 \to GL_1 from the first algebraic K-theory to the group of units.

Regulators are used in the study of L-functions for instance in the context of the Beilinson conjectures and the Bloch-Kato conjecture.

The simplest example of such regulators are

These regulators may be understood as essentially being the Chern characters in algebraic K-theory (Deninger Scholl (2.6), Tamme 12). Based on this observation they serve to define differential cohomology-refinements of algebraic K-theory, namely differential algebraic K-theory (Bunke-Tamme 12).

we usually call transformations from K-theory to cyclic homology Chern characters, and transformations from K-theory to differential forms regulators. There is one exception, namely the usual Chern character from topological K-theory to cohomology with complex coefficients calculated by the de Rham cohomology. (Bunke 14, remark 2.20)

2. Definition

Dirichlet and Borel regulator

For RR a ring, KRK R denoting its algebraic K-theory spectrum and Σ nH\Sigma^n H \mathbb{R} a suspension of the Eilenberg-MacLane spectrum of the real numbers, then a regulator of KRK R-cohomology theory is a homomorphism of spectra

r σ,p:KRΣ pH r_{\sigma,p} \;\colon\; K R \longrightarrow \Sigma^p H \mathbb{R}

or equivalently is the induced cohomology operations. e.g. (Bunke-Tamme 12, 1.2)

If here RR is the ring of integers of a number field and σ:R\sigma \colon R \hookrightarrow \mathbb{C} is a choice of embedding into the complex numbers, then the Borel regulator (Borel 74) is of this form, for odd pp, such that its induced cohomology operation

r σ,p:K 1(R) r_{\sigma,p} \;\colon\; K_1(R) \longrightarrow \mathbb{R}

is the Dirichlet regulator given by

ulog|σ(u)|. u \mapsto log {\vert \sigma(u) \vert} \,.

A description of this in differential algebraic K-theory is in (Bunke-Tamme 12, 1.2):

for XX a smooth manifold, then a class in KR 0(X)K R^0(X) is represented by a finitely generated projective RR-module bundle VXV \to X. Write

cycl(V)KR 0(X) cycl(V) \in K R^0(X)

for this class.

Under the chosen embedding σ\sigma we have the complexification V σV \otimes_\sigma \mathbb{C} of this module bundle, which is a complex vector bundle with (because RR is geometrically discrete) a flat connection V σ\nabla_{V_\sigma}.

The choice of hermitean structure on V σV_\sigma, hence a reduction of the structure group to the unitary group induces an adjoint connection V σ *\nabla_{V_\sigma}^\ast. Write then

CS p( V σ *, V σ) CS_p(\nabla_{V_\sigma}^\ast, \nabla_{V_\sigma})

for the relative Chern-Simons form between these two connections, hence for the transgression of the relative Chern character in degree p+1p+1.

This is a closed differential form, (the Kamber-Tondeur form, see Bismut-Lott 95).

This differential form represents, via the de Rham theorem isomorphism, the Dirichlet regulator above

Misplaced crystal structures
<<<
The following is a computed X-ray powder pattern of Sr2La2MnCuO8. It was derived from a GGA+U-relaxed structure, using a wavelength of 1.5418 Å.

Principal peaks in the range 2θ from 5° to 70°, by angle:
- 5.99°, I = 28, hkl 0 0 1
- 31.12°, I = 100, hkl 1 -2 1
- 31.32°, I = 34, hkl 0 1 -5
- 32.75°, I = 94, hkl 1 0 3
- 42.20°, I = 35, hkl 0 3 -3
- 46.85°, I = 25, hkl -2 1 1
- 47.14°, I = 24, hkl 0 1 7
- 57.43°, I = 30, hkl 2 -2 4

Cell and atoms:
```
Sr2La2MnCuO8
1.0
3.878 0.000 0.000
-1.928 6.717 0.000
-1.939 -2.197 14.746
Sr La Mn Cu O
4 4 2 2 16
direct
0.109 0.250 0.465
0.356 0.503 0.715
0.644 0.497 0.285
0.891 0.750 0.535
0.149 0.013 0.786
0.404 0.256 0.038
0.596 0.744 0.962
0.851 0.987 0.214
0.374 0.870 0.375
0.626 0.130 0.625
0.125 0.623 0.125
0.875 0.377 0.875
0.000 0.500 0.000
0.023 0.706 0.840
0.124 0.123 0.628
0.251 0.751 0.248
0.257 0.597 0.413
0.270 0.938 0.079
0.372 0.373 0.878
0.488 0.144 0.328
0.500 0.000 0.500
0.512 0.856 0.672
0.628 0.627 0.122
0.730 0.062 0.921
>>>
The entry goes on

r σ,p(cycl(V))[CS p( V σ *, V σ)]H dR p(X)H p(X,). r_{\sigma,p}(cycl(V)) \simeq [CS_p(\nabla_{V_\sigma}^\ast, \nabla_{V_\sigma})] \in H_{dR}^p(X) \simeq H^p(X,\mathbb{R}) \,.

In differential algebraic K-theory this construction can be refined from landing in de Rham cohomology to landing in genuine ordinary differential cohomology (higher prequantization), hence with CS p( V σ *, V σ)CS_p(\nabla_{V_\sigma}^\ast, \nabla_{V_\sigma}) itself realized as the curvature of a circle (p-1)-bundle with connection.

Regulators of generalized algebraic K-theories

Based on the above abstract formulation of the classical Beilinson- and Borel-regulators, the following general definition suggests itsef:

Definition 2.1. Consider the following data:

  1. For 𝒞 \mathcal{C}^\otimes a symmetric monoidal (∞,1)-category write 𝒦(𝒞)\mathcal{K}(\mathcal{C}) for its algebraic K-theory of a symmetric monoidal (∞,1)-category.

  2. For ACh (Ab)A \in Ch_\bullet(Ab) any chain complex write HAH A for its Eilenberg-MacLane spectrum given by the stable Dold-Kan correspondence.

Then a regulator with coefficients in AA of the algebraic K-theory represented by 𝒦(𝒞)\mathcal{K}(\mathcal{C}) is a homomorphism of spectra (hence a cohomology operation)

r:𝒦(𝒞)HA. r \;\colon\; \mathcal{K}(\mathcal{C}) \longrightarrow H A \,.

Accordingly the spectrum of AA-regulators of 𝒦(𝒞)\mathcal{K}(\mathcal{C}) is the mapping spectrum [𝒦(𝒞),HA][\mathcal{K}(\mathcal{C}), H A].

(Bunke-Tamme 12, def. 23).

Beilinson regulators


3. Examples

Constructions in terms of line nn-bundles (n1n-1-bundle gerbes)

____________
# 1
# Hf2ReIr
Simulated X-ray powder pattern, Cu Ka. Input: a GGA-PBE-relaxed structure.
No peak broadening, texture or thermal motion is included.

Cell and atoms:
Lattice parameters (Å, degrees): 4.627 4.627 4.627 60.00 60.00 60.00
Sites, in units of the cell vectors:
Hf 0.250 0.250 0.250
Hf 0.750 0.750 0.750
Re 0.000 0.000 0.000
Ir 0.500 0.500 0.500

Top 4 peaks for 2θ = 10–90°, in order of rising 2θ:
d_spacing, intensity
2.314, 100
1.636, 17
1.336, 36
1.157, 11



# 2
# RbGe
Simulated X-ray powder pattern, Cu Ka. Input: a GGA-PBE-relaxed structure.
No peak broadening, texture or thermal motion is included.

Cell and atoms:
Lattice parameters (Å, degrees): 12.055 12.055 12.055 124.70 124.70 82.04
Sites, in units of the cell vectors:
Rb 0.005 0.255 0.509
Rb 0.109 0.750 0.859
Rb 0.245 0.495 0.991
Rb 0.250 0.109 0.859
Rb 0.250 0.609 0.359
Rb 0.255 0.245 0.250
Rb 0.391 0.250 0.641
Rb 0.495 0.005 0.250
Rb 0.505 0.995 0.750
Rb 0.609 0.750 0.359
Rb 0.745 0.755 0.750
Rb 0.750 0.391 0.641
Rb 0.750 0.891 0.141
Rb 0.755 0.505 0.009
Rb 0.891 0.250 0.141
Rb 0.995 0.745 0.491
Ge 0.015 0.723 0.090
Ge 0.075 0.985 0.208
Ge 0.133 0.925 0.410
Ge 0.223 0.515 0.590
Ge 0.277 0.867 0.292
Ge 0.367 0.777 0.792
Ge 0.425 0.633 0.910
Ge 0.485 0.575 0.708
Ge 0.515 0.425 0.292
Ge 0.575 0.367 0.090
Ge 0.633 0.223 0.208
Ge 0.723 0.133 0.708
Ge 0.777 0.485 0.410
Ge 0.867 0.075 0.590
Ge 0.925 0.015 0.792
Ge 0.985 0.277 0.910

Top 10 peaks for 2θ = 10–90°, in order of rising 2θ:
d_spacing, intensity
5.969, 33
3.859, 29
3.529, 29
3.059, 100
2.943, 89
2.796, 35
2.674, 34
2.361, 22
1.661, 21
1.623, 24
____________

Some special cases of Beilinson regulators have known “geometric” constructions in terms of maps relating holomorphic line n-bundles for various nn.

The regulator

c 2,2:K 2(X)H 2(X,(2) 𝒟) c_{2,2} \colon K_2(X) \longrightarrow H^2(X, \mathbb{Z}(2)_{\mathcal{D}})

is given by sending pairs of non-vanishing holomorphic functions to the holomorphic line bundle which is their Beilinson-Deligne cup product (the “Deligne line bundle”) (Bloch 78).

Moreover, the regulator

c 1,2:K 1(X)H 3(X,(2) 𝒟) c_{1,2} \colon K_1(X) \longrightarrow H^3(X, \mathbb{Z}(2)_{\mathcal{D}})

or rather its component

c 1,2:H 1(X,K 2)H 3(X,(2) 𝒟) c_{1,2} \colon H^1(X, \mathbf{K}_2) \longrightarrow H^3(X, \mathbb{Z}(2)_{\mathcal{D}})

is given by sending functions constituing a cocycle in the relevant Gersten complex to a bundle gerbe whose transition line bundles are Deligne line bundles built from these functions (Brylinski 94, theorem 3.3).

Notice that c 2,1c_{2,1} is the regulator that interpolates the string 2-group/universal Chern-Simons line 3-bundle for a reductive algebraic group from the algebraic to the complex-analytic realm, see at universal Chern-Simons line 3-bundles – For reductive algebraic groups.

4. Properties

Becker-Gottlieb transfer and GRR for algebraic K-theory

For π:XB\pi \colon X \to B a proper submersion of smooth manifolds, there is a variant of fiber integration in generalized cohomology given by the Becker-Gottlieb transfer in some EE-cohomology theory

tr π:E *(X)E *(B). tr_\pi \;\colon\; E^\ast(X) \longrightarrow E^\ast(B) \,.

Moreover, for the above sheaves of RR-modules cycl(V)cycl(V) we have the direct image sheaves π *V\pi_\ast V and there is an identity

i0(1) icycl(R iπ *(V))tr π(cycl(V)) \underset{i \geq 0}{\sum} (-1)^i cycl(R^i \pi_\ast(V)) \simeq tr_\pi(cycl(V))

in KR(B)K R(B). The above Borel-Dirichlet regulator r σ,pr_{\sigma,p} is such that it preseves this as an identity in H(X,)H(X,\mathbb{R}). Hence it plays a role here analogous that of the Chern character in the Grothendieck-Riemann-Roch theorem.

The Becker-Gottlieb transfer refines in turn to differential cohomology, hence differential algebraic K-theory mapping to ordinary differential cohomology, according to (Bunke-Gepner 13).

However, the above relation between direct image of sheaves and push-forward in cohomology receives a correction when refined to differential algebraic K-theory, a correction by a term in the image of the inclusion a()a(-) of differential forms into differential cohomology, by the transfer index conjecture one has

i0(1) icycl^(R iπ *(V))+a(something)tr^ π(cycl^(V)) \underset{i \geq 0}{\sum} (-1)^i \widehat{cycl}(R^i \pi_\ast(V)) + a(something) \simeq \widehat{tr}_\pi(\widehat{cycl}(V))

where the hats denote the differential cohomology refinement.

See at Becker-Gottlieb transfer.

Relation to complex volumes and Bloch group

There is some relation between the Borel regulators and complex volumes of hyperbolic manifolds via maps out of the Bloch group (Suslin 90, Neumann-Yang 97, p. 17, Zickert 07, p. 3, Zickert 09).

For kk an algebraic number field and σ 1,,σ r 2:k\sigma_1, \cdots, \sigma_{r_2}\colon k \to \mathbb{C} its complex embeddings up to conjugation, then write

vol jvol(σ j):H 3(PSL(2,k),) vol_j \coloneqq vol \circ (\sigma_j)\colon H_3(PSL(2,k), \mathbb{Z}) \to \mathbb{R}

Then then map

(vol 1,,vol r 2):H 3(PSL(2,k),) r 2 (vol_1, \cdots, vol_{r_2}) \colon H_3(PSL(2,k),\mathbb{Z}) \longrightarrow \mathbb{R}^{r_2}

is the Borel regulator (Neumann 11, p. 6).

For the moment, see at Bloch group for more details.

6. References

## Misplaced data records
********
Starting from the GGA-PBE geometry in OQMD, the X-ray powder pattern of LiScCdSe3 was computed for Cu Ka.

Peak list (10 most intense, 10 to 90 degrees two-theta, low angle first)
hkl 0 2 0, 13.5 deg, I 60; hkl 0 2 2, 21.2 deg, I 19; hkl 1 1 0, 23.7 deg, I 19; hkl 1 1 1, 25.1 deg, I 31; hkl 0 2 3, 28.1 deg, I 34; hkl 1 3 1, 31.8 deg, I 37; hkl 0 0 4, 33.0 deg, I 26; hkl 1 3 2, 34.9 deg, I 100; hkl 1 5 2, 44.8 deg, I 36; hkl 2 0 0, 46.3 deg, I 21

abc: 3.9184 13.1138 10.8677
angles: 90.00 90.00 90.00
Space group Cmcm (No. 63)
Unique sites:
Li 0.0000 0.2398 0.2500 [4 per cell]
Sc 0.0000 0.0000 0.0000 [4 per cell]
Cd 0.0000 0.4757 0.7500 [4 per cell]
Se 0.0000 0.1086 0.7500 [4 per cell]
Se 0.0000 0.3623 0.5555 [8 per cell]

----------

Simulated XRD peak list
Compound: Ba2LiGe
Radiation: λ = 1.5418 Å (Cu Kα)
Structure: the GGA-PBE geometry in Alexandria

```
Ba2LiGe
1.0
4.7682 0.0000 0.0000
-2.3841 4.1294 0.0000
0.0000 0.0000 25.4541
Ba Li Ge
6 3 3
Cartesian
0.0000 0.0000 0.0000
0.0000 0.0000 4.1251
0.0000 2.7529 16.9694
0.0000 2.7529 21.0945
2.3841 1.3765 8.4847
2.3841 1.3765 12.6098
0.0000 0.0000 10.5591
0.0000 2.7529 2.0743
2.3841 1.3765 19.0437
0.0000 0.0000 19.0513
0.0000 2.7529 10.5666
2.3841 1.3765 2.0819
```

Principal peaks in the range 10° ≤ 2θ ≤ 80°, sorted by position:
Position (°2θ)  Rel. int.  h k l
10.43  39  0 0 3
20.94  30  0 0 6
21.80  100  1 0 1
22.64  30  0 1 2
25.72  48  1 0 4
27.82  98  0 1 5
32.82  73  1 0 7
35.62  31  0 1 8
37.73  72  1 1 0
58.22  39  1 1 12

----------

No. 1
Computed X-ray diffraction stick pattern of MgUS2O21 for Cu Kα (weighted mean of Kα1 and Kα2), from a cell relaxed with PBE.
Peak positions follow from Bragg's law for the DFT cell and can differ from measured ones.

Largest 8 diffraction maxima, by intensity, 10 to 90 degrees two-theta:
index, 2theta, I (rel.)
1 1 -1, 13.98, 100.0
1 1 1, 15.13, 97.8
0 0 4, 17.72, 90.0
1 1 -5, 24.58, 85.6
1 1 -3, 17.88, 75.5
3 1 -3, 27.28, 59.6
3 1 1, 28.12, 51.8
3 1 -1, 26.19, 46.7

Structural model:
```
data_MgUS2O21
_chemical_formula_sum 'Mg4 U4 S8 O84'
_space_group_name_H-M_alt 'C 1 2/c 1'
_space_group_IT_number 15
_cell_length_a 11.352
_cell_length_b 7.825
_cell_length_c 20.600
_cell_angle_alpha 90.00
_cell_angle_beta 103.57
_cell_angle_gamma 90.00
loop_
_space_group_symop_operation_xyz
'x,y,z'
'-x,-y,-z'
'-x,y,-z+1/2'
'x,-y,z+1/2'
'x+1/2,y+1/2,z'
'-x+1/2,-y+1/2,-z'
'-x+1/2,y+1/2,-z+1/2'
'x+1/2,-y+1/2,z+1/2'
loop_
_atom_site_label
_atom_site_type_symbol
_atom_site_fract_x
_atom_site_fract_y
_atom_site_fract_z
Mg1 Mg 0.000 0.000 0.000
U1 U 0.000 0.286 0.250
S1 S 0.182 0.365 0.707
O1 O 0.000 0.013 0.750
O2 O 0.038 0.280 0.340
O3 O 0.098 0.207 0.021
O4 O 0.111 0.212 0.677
O5 O 0.121 0.459 0.752
O6 O 0.168 0.102 0.462
O7 O 0.182 0.130 0.079
O8 O 0.197 0.190 0.251
O9 O 0.198 0.472 0.651
O10 O 0.223 0.288 0.899
O11 O 0.225 0.445 0.526
```

***

No. 2
********

The Borel regulator is due to

  • Armand Borel, Cohomologie de SL nSL_n et valeurs de fonctions de zeta, Ann. Scuola Norm. Sup. Pisa Cl. Sci. (4) 417 (1971), 613–636.

  • Armand Borel, Stable real cohomology of arithmetic groups, Ann. Sci. Ecole Norm. Sup. (4) 7 (1974), 235-272 (1975). MR 0387496

The Beilinson regulator with values in Deligne cohomology is due to

  • Spencer Bloch, Applications of the dilogarithm function in algebraic K-theory and algebraic geometry, in: Proc. of the International Symp. on Alg. Geometry, Kinokuniya, Tokyo, 1978

  • Spencer Bloch, The dilogarithm and extensions of Lie algebras, Algebraic K-Theory Evanston 1980, Lecture Notes in Mathematics Volume 854, 1981, pp 1-23

  • Alexander BeilinsonHigher regulators and values of L-functions, Journal of Soviet Mathematics 30 (1985), 2036-2070, (mathnet (Russian), DOI)

  • Alexander Beilinson, Higher regulators of curves, Funct. Anal. Appl. 14 (1980), 116-118, mathnet (Russian).

  • Alexander Beilinson, Height pairing between algebraic cycles, in K-Theory, Arithmetic and Geometry, Lecture Notes in Mathematics Volume 1289, 1987, pp 1-26, DOI.

reviewed in

A discussion of the Beilinson regulator on K 2K_2 in terms of bundle gerbes is in

  • Jean-Luc Brylinski, Holomorphic gerbes and the Beilinson regulator, Astérisque 226 (1994): 145-174 (pdf)

See also

  • Christophe Soulé, On higher p-adic regulators, Algebraic K-Theory Evanston 1980 Lecture Notes in Mathematics Volume 854, 1981, pp 372-401_ (publisher page)

The relation to Chern characters is made very explicit in

  • Georg Tamme, Karoubi’s relative Chern character and Beilinson’s regulator, Ann. Sci. Ec. Norm. Super. (4) 45 (2012), no. 4, 601-636. (pdf)

see also

The interpretation of these regulator Chern characters in differential algebraic K-theory is due to

based on

  • Jean-Michel Bismut, John Lott, Flat vector bundles, direct images and

    higher real analytic torsion_, J. Amer. Math. Soc. 8 (1995), no. 2, 291-363.

See also

  • Charles Weibel, Algebraic K-theory and the Adams e-invariant, in Algebraic K-theory, number theory, geometry and analysis(Bielefeld, 1982), volume 1046 of Lecture Notes in Math., pages 442-450. Springer, Berlin, 1984. 61 pdf

  • A.A. Suslin, On the K-theory of local fields, In Proceedings of the Luminy conference on algebraic K-theory (Luminy, 1983), volume 34, pages 301-318, 1984.

  • Wikipedia, Beilinson regulator

For more references see also at Beilinson conjecture.

Relation of the Borel regulator to the Bloch group, the Cheeger-Simons class/complex volumes of hyperbolic manifolds is discussed in

  • Andrei Suslin. K 3K_3 of a field, and the Bloch group. Trudy Mat. Inst. Steklov., 183:180–199, 229, 1990. Translated in Proc. Steklov Inst. Math. 1991, no. 4, 217–239, Galois theory, rings, algebraic groups and their applications (Russian).

  • Walter Neumann, Jun Yang, Bloch invariants of hyperbolic 3-manifolds, Duke Math. J. Volume 96, Number 1 (1999), 29-59. (arXiv:math/9712224, Euclid)

  • Christian Zickert, The volume and Chern-Simons invariant of a representation, Duke Math. J., 150 (3):489-532, 2009 (arXiv:0710.2049, Euclid)

  • Christian Zickert, The extended Bloch group and algebraic K-theory (arXiv:0910.4005)

  • Walter Neumann, Realizing arithmetic invariants of hyperbolic 3-manifolds, Contemporary Math 541 (Amer. Math. Soc. 2011), 233–246 (arXiv:1108.0062)

Last revised on September 23, 2020 at 10:07:01. See the history of this page for a list of all contributions to it.